_To do_
Now work out how many lines further below have the word "structural" in them; a number is enough.

_Contents_
........
CaCeMg14: optimized geometry, PBE.

Results
Relative energy among the computed polymorphs, kJ/mol of atoms: 0.00
Energy of formation from the pure elements, eV/atom: 0.039

Cell: 6.6307 6.6307 10.3529 Å, 90.00 90.00 120.00°
Element x y z (fractional)
1 Ca 0.1667 0.3333 0.1250
2 Ce 0.1667 0.3333 0.6250
3 Mg 0.1735 0.8367 0.1250
4 Mg 0.1778 0.8389 0.6250
5 Mg 0.6633 0.3265 0.1250
6 Mg 0.6611 0.3222 0.6250
7 Mg 0.6633 0.8367 0.1250
8 Mg 0.6611 0.8389 0.6250
9 Mg 0.3384 0.1616 0.3756
10 Mg 0.3384 0.1616 0.8744
11 Mg 0.3384 0.6769 0.3756
12 Mg 0.3384 0.6769 0.8744
13 Mg 0.8231 0.1616 0.3756
14 Mg 0.8231 0.1616 0.8744
15 Mg 0.8333 0.6667 0.3796
16 Mg 0.8333 0.6667 0.8704


VASP calculation (PBE+U) on Na2PrWO6 after structural relaxation.

a = 6.071 Å, b = 6.071 Å, c = 6.071 Å
α = 60.00°, β = 60.00°, γ = 60.00°
Sites, in units of the cell vectors:
1 Na 0.250 0.250 0.250
2 Na 0.750 0.750 0.750
3 Pr 0.000 0.000 0.000
4 W 0.500 0.500 0.500
5 O 0.274 0.274 0.726
6 O 0.274 0.726 0.274
7 O 0.274 0.726 0.726
8 O 0.726 0.274 0.274
9 O 0.726 0.274 0.726
10 O 0.726 0.726 0.274

Values from the calculation:
polymorph energy (0 for the lowest one): 38 meV per atom
uncorrected energy: -6.524 eV per atom
energy of formation: -2.37 eV per atom
spin magnetization: 1.0 μB/f.u.
........

_Outcome_
1